What is needed: transcribe all of the data underneath word for word.

+++
{"formula": "C63H98ClN12O4S", "method": "ωB97M-V with the def2-TZVPD basis set", "spin_multiplicity": 1, "charge": 1, "orbital_gap_ev": 6.73, "e_lumo_ha": -0.095, "total_energy_ha": -4275.38181, "symbols": ["C", "N", "C", "C", "C", "C", "C", "C", "S", "O", "O", "Cl", "C", "N", "C", "C", "C", "C", "C", "C", "C", "C", "C", "C", "C", "C", "C", "C", "C", "N", "C", "C", "C", "O", "C", "O", "H", "H", "H", "H", "H", "H", "H", "H", "H", "H", "H", "H", "H", "H", "H", "H", "H", "H", "H", "H", "H", "H", "H", "H", "H", "H", "H", "H", "H", "H", "H", "H", "H", "H", "H", "H", "H", "H", "H", "H", "H", "H", "H", "H", "H", "H", "H", "H", "H", "H", "H", "H", "H", "N", "C", "C", "C", "C", "H", "H", "H", "H", "H", "N", "C", "C", "C", "C", "H", "H", "H", "H", "H", "N", "C", "C", "C", "C", "H", "H", "H", "H", "H", "N", "C", "C", "C", "C", "H", "H", "H", "H", "H", "N", "C", "C", "C", "C", "H", "H", "H", "H", "H", "N", "C", "C", "C", "C", "H", "H", "H", "H", "H", "N", "C", "C", "C", "C", "H", "H", "H", "H", "H", "N", "C", "C", "C", "C", "H", "H", "H", "H", "H", "N", "C", "C", "C", "C", "H", "H", "H", "H", "H"], "positions_angstrom": [[-0.396, 2.918, 2.759], [-0.902, 1.965, 3.761], [-2.329, 1.707, 3.578], [-2.640, 0.378, 2.829], [-3.813, 0.640, 1.861], [-4.561, -0.614, 1.414], [-5.595, -0.296, 0.325], [-6.702, 0.634, 0.813], [-7.902, 0.927, -0.469], [-8.143, -0.318, -1.128], [-9.015, 1.639, 0.067], [-6.883, 2.169, -1.728], [-1.410, -0.107, 2.043], [-1.203, -1.620, 1.989], [0.200, -1.841, 1.497], [0.443, -3.183, 0.819], [1.470, -3.090, -0.323], [0.975, -2.243, -1.504], [2.880, -2.719, 0.164], [3.192, -1.218, 0.276], [3.615, -0.524, -0.995], [3.440, 0.795, -1.192], [2.303, 1.582, -0.583], [4.412, 1.562, -2.048], [-1.629, -2.358, 3.249], [-0.664, -3.373, 3.876], [-1.358, -4.744, 4.020], [-1.500, -5.540, 2.716], [-2.787, -5.275, 1.933], [-3.107, -6.355, 1.004], [-2.147, -6.378, -0.112], [-4.446, -6.107, 0.517], [-4.658, -5.173, -0.651], [-5.378, -6.626, 1.053], [-2.057, -1.338, 4.286], [-3.128, -0.590, 3.756], [0.654, 3.155, 2.923], [-0.947, 3.864, 2.787], [-0.536, 2.495, 1.762], [-0.754, 2.404, 4.660], [-2.837, 2.535, 3.073], [-2.797, 1.618, 4.558], [-3.457, 1.224, 1.010], [-4.514, 1.284, 2.398], [-3.868, -1.317, 0.936], [-5.050, -1.070, 2.272], [-5.068, 0.214, -0.487], [-6.028, -1.197, -0.103], [-6.328, 1.617, 1.094], [-7.247, 0.189, 1.645], [-1.542, 0.180, 1.001], [-0.477, 0.315, 2.402], [-1.815, -1.924, 1.234], [0.874, -1.696, 2.337], [0.373, -1.062, 0.759], [0.831, -3.925, 1.515], [-0.487, -3.592, 0.413], [1.535, -4.112, -0.710], [-0.010, -2.626, -1.783], [0.947, -1.178, -1.285], [1.631, -2.452, -2.348], [3.054, -3.163, 1.149], [3.619, -3.160, -0.507], [2.386, -0.639, 0.732], [4.045, -1.121, 0.955], [4.048, -1.149, -1.771], [2.091, 2.466, -1.179], [1.394, 0.977, -0.542], [2.520, 1.885, 0.446], [3.940, 2.058, -2.899], [5.156, 0.876, -2.452], [4.941, 2.291, -1.433], [-2.556, -2.872, 3.005], [-0.429, -3.059, 4.894], [0.276, -3.553, 3.366], [-2.309, -4.638, 4.545], [-0.711, -5.339, 4.666], [-1.551, -6.594, 2.998], [-0.615, -5.444, 2.087], [-3.598, -5.182, 2.658], [-2.719, -4.298, 1.414], [-1.887, -5.371, -0.465], [-2.575, -6.920, -0.952], [-1.253, -6.908, 0.208], [-5.705, -4.894, -0.678], [-4.006, -4.301, -0.586], [-4.398, -5.679, -1.581], [-2.417, -1.894, 5.151], [-1.227, -0.705, 4.618], [0.378, -4.167, -4.754], [-0.751, -3.628, -5.310], [-0.363, -2.688, -6.226], [1.058, -2.660, -6.227], [1.486, -3.583, -5.310], [0.390, -4.880, -4.050], [-1.730, -3.959, -5.009], [-1.021, -2.088, -6.831], [1.689, -2.032, -6.834], [2.478, -3.874, -5.006], [4.214, 3.334, 3.022], [4.058, 4.245, 4.031], [3.834, 5.468, 3.458], [3.857, 5.288, 2.047], [4.092, 3.962, 1.810], [4.397, 2.356, 3.150], [4.121, 3.947, 5.063], [3.675, 6.390, 3.993], [3.718, 6.046, 1.293], [4.184, 3.413, 0.889], [5.704, -6.782, -1.731], [4.408, -6.371, -1.859], [3.752, -6.692, -0.700], [4.693, -7.318, 0.162], [5.887, -7.357, -0.504], [6.415, -6.681, -2.431], [4.065, -5.890, -2.760], [2.711, -6.501, -0.489], [4.512, -7.697, 1.154], [6.848, -7.745, -0.211], [2.876, -6.994, 5.350], [3.826, -6.281, 6.028], [3.957, -5.063, 5.416], [3.048, -5.043, 4.323], [2.395, -6.248, 4.311], [2.580, -7.924, 5.582], [4.325, -6.698, 6.885], [4.627, -4.277, 5.718], [2.894, -4.234, 3.626], [1.634, -6.638, 3.655], [-4.930, 4.044, -4.286], [-5.439, 3.389, -5.377], [-4.928, 3.986, -6.497], [-4.076, 5.039, -6.067], [-4.097, 5.050, -4.699], [-5.138, 3.822, -3.332], [-6.118, 2.562, -5.262], [-5.142, 3.701, -7.513], [-3.514, 5.712, -6.692], [-3.595, 5.683, -3.988], [3.911, -3.007, -8.357], [3.244, -3.356, -9.500], [3.862, -2.735, -10.551], [4.947, -1.983, -10.022], [4.952, -2.172, -8.667], [3.670, -3.316, -7.435], [2.392, -4.013, -9.466], [3.571, -2.810, -11.585], [5.642, -1.374, -10.574], [5.602, -1.787, -7.900], [2.705, 8.864, 0.499], [3.839, 9.078, -0.238], [3.479, 9.138, -1.556], [2.070, 8.956, -1.618], [1.623, 8.790, -0.335], [2.672, 8.774, 1.497], [4.802, 9.170, 0.233], [4.148, 9.297, -2.385], [1.457, 8.950, -2.503], [0.633, 8.628, 0.055], [-11.385, 6.204, 1.832], [-11.611, 5.274, 2.809], [-11.108, 4.078, 2.372], [-10.554, 4.294, 1.079], [-10.741, 5.617, 0.777], [-11.655, 7.168, 1.880], [-12.109, 5.541, 3.725], [-11.136, 3.148, 2.916], [-10.079, 3.563, 0.450], [-10.473, 6.187, -0.096], [7.164, 9.313, 2.159], [7.793, 10.027, 1.175], [9.084, 10.240, 1.574], [9.242, 9.627, 2.847], [8.041, 9.062, 3.180], [6.207, 9.017, 2.138], [7.271, 10.322, 0.281], [9.834, 10.774, 1.016], [10.136, 9.604, 3.447], [7.737, 8.507, 4.050]], "lowdin_charge": [-0.101, -0.123, -0.135, -0.416, -0.123, -0.171, -0.233, -0.284, 0.347, -0.314, -0.322, 0.421, -0.021, 0.008, -0.104, -0.140, -0.355, -0.039, -0.149, -0.188, -0.095, -0.336, -0.058, -0.058, -0.190, -0.122, -0.169, -0.172, -0.212, -0.108, -0.070, -0.491, 0.003, 0.134, -0.128, -0.062, 0.079, 0.087, 0.073, 0.112, 0.121, 0.142, 0.136, 0.124, 0.105, 0.126, 0.103, 0.112, 0.097, 0.125, 0.144, 0.116, 0.154, 0.149, 0.102, 0.095, 0.104, 0.124, 0.081, 0.062, 0.082, 0.105, 0.114, 0.080, 0.122, 0.116, 0.087, 0.054, 0.061, 0.082, 0.077, 0.079, 0.136, 0.126, 0.085, 0.123, 0.109, 0.127, 0.088, 0.135, 0.097, 0.074, 0.094, 0.091, 0.091, 0.067, 0.088, 0.151, 0.148, -0.003, -0.142, -0.097, -0.109, -0.159, 0.137, 0.104, 0.096, 0.088, 0.099, 0.004, -0.143, -0.112, -0.103, -0.145, 0.141, 0.106, 0.088, 0.082, 0.090, 0.008, -0.150, -0.126, -0.108, -0.131, 0.147, 0.098, 0.075, 0.089, 0.111, 0.012, -0.128, -0.104, -0.121, -0.152, 0.148, 0.112, 0.092, 0.070, 0.100, -0.008, -0.146, -0.108, -0.109, -0.144, 0.093, 0.102, 0.092, 0.091, 0.103, -0.005, -0.143, -0.108, -0.111, -0.144, 0.116, 0.106, 0.091, 0.090, 0.102, -0.002, -0.143, -0.103, -0.108, -0.144, 0.138, 0.085, 0.093, 0.091, 0.103, -0.002, -0.145, -0.110, -0.110, -0.140, 0.142, 0.104, 0.087, 0.055, 0.104, -0.004, -0.146, -0.109, -0.110, -0.144, 0.121, 0.101, 0.091, 0.090, 0.103]}
+++

{"formula": "C63H98ClN12O4S", "method": "ωB97M-V with the def2-TZVPD basis set", "spin_multiplicity": 1, "charge": 1, "orbital_gap_ev": 6.73, "e_lumo_ha": -0.095, "total_energy_ha": -4275.38181, "symbols": ["C", "N", "C", "C", "C", "C", "C", "C", "S", "O", "O", "Cl", "C", "N", "C", "C", "C", "C", "C", "C", "C", "C", "C", "C", "C", "C", "C", "C", "C", "N", "C", "C", "C", "O", "C", "O", "H", "H", "H", "H", "H", "H", "H", "H", "H", "H", "H", "H", "H", "H", "H", "H", "H", "H", "H", "H", "H", "H", "H", "H", "H", "H", "H", "H", "H", "H", "H", "H", "H", "H", "H", "H", "H", "H", "H", "H", "H", "H", "H", "H", "H", "H", "H", "H", "H", "H", "H", "H", "H", "N", "C", "C", "C", "C", "H", "H", "H", "H", "H", "N", "C", "C", "C", "C", "H", "H", "H", "H", "H", "N", "C", "C", "C", "C", "H", "H", "H", "H", "H", "N", "C", "C", "C", "C", "H", "H", "H", "H", "H", "N", "C", "C", "C", "C", "H", "H", "H", "H", "H", "N", "C", "C", "C", "C", "H", "H", "H", "H", "H", "N", "C", "C", "C", "C", "H", "H", "H", "H", "H", "N", "C", "C", "C", "C", "H", "H", "H", "H", "H", "N", "C", "C", "C", "C", "H", "H", "H", "H", "H"], "positions_angstrom": [[-0.396, 2.918, 2.759], [-0.902, 1.965, 3.761], [-2.329, 1.707, 3.578], [-2.640, 0.378, 2.829], [-3.813, 0.640, 1.861], [-4.561, -0.614, 1.414], [-5.595, -0.296, 0.325], [-6.702, 0.634, 0.813], [-7.902, 0.927, -0.469], [-8.143, -0.318, -1.128], [-9.015, 1.639, 0.067], [-6.883, 2.169, -1.728], [-1.410, -0.107, 2.043], [-1.203, -1.620, 1.989], [0.200, -1.841, 1.497], [0.443, -3.183, 0.819], [1.470, -3.090, -0.323], [0.975, -2.243, -1.504], [2.880, -2.719, 0.164], [3.192, -1.218, 0.276], [3.615, -0.524, -0.995], [3.440, 0.795, -1.192], [2.303, 1.582, -0.583], [4.412, 1.562, -2.048], [-1.629, -2.358, 3.249], [-0.664, -3.373, 3.876], [-1.358, -4.744, 4.020], [-1.500, -5.540, 2.716], [-2.787, -5.275, 1.933], [-3.107, -6.355, 1.004], [-2.147, -6.378, -0.112], [-4.446, -6.107, 0.517], [-4.658, -5.173, -0.651], [-5.378, -6.626, 1.053], [-2.057, -1.338, 4.286], [-3.128, -0.590, 3.756], [0.654, 3.155, 2.923], [-0.947, 3.864, 2.787], [-0.536, 2.495, 1.762], [-0.754, 2.404, 4.660], [-2.837, 2.535, 3.073], [-2.797, 1.618, 4.558], [-3.457, 1.224, 1.010], [-4.514, 1.284, 2.398], [-3.868, -1.317, 0.936], [-5.050, -1.070, 2.272], [-5.068, 0.214, -0.487], [-6.028, -1.197, -0.103], [-6.328, 1.617, 1.094], [-7.247, 0.189, 1.645], [-1.542, 0.180, 1.001], [-0.477, 0.315, 2.402], [-1.815, -1.924, 1.234], [0.874, -1.696, 2.337], [0.373, -1.062, 0.759], [0.831, -3.925, 1.515], [-0.487, -3.592, 0.413], [1.535, -4.112, -0.710], [-0.010, -2.626, -1.783], [0.947, -1.178, -1.285], [1.631, -2.452, -2.348], [3.054, -3.163, 1.149], [3.619, -3.160, -0.507], [2.386, -0.639, 0.732], [4.045, -1.121, 0.955], [4.048, -1.149, -1.771], [2.091, 2.466, -1.179], [1.394, 0.977, -0.542], [2.520, 1.885, 0.446], [3.940, 2.058, -2.899], [5.156, 0.876, -2.452], [4.941, 2.291, -1.433], [-2.556, -2.872, 3.005], [-0.429, -3.059, 4.894], [0.276, -3.553, 3.366], [-2.309, -4.638, 4.545], [-0.711, -5.339, 4.666], [-1.551, -6.594, 2.998], [-0.615, -5.444, 2.087], [-3.598, -5.182, 2.658], [-2.719, -4.298, 1.414], [-1.887, -5.371, -0.465], [-2.575, -6.920, -0.952], [-1.253, -6.908, 0.208], [-5.705, -4.894, -0.678], [-4.006, -4.301, -0.586], [-4.398, -5.679, -1.581], [-2.417, -1.894, 5.151], [-1.227, -0.705, 4.618], [0.378, -4.167, -4.754], [-0.751, -3.628, -5.310], [-0.363, -2.688, -6.226], [1.058, -2.660, -6.227], [1.486, -3.583, -5.310], [0.390, -4.880, -4.050], [-1.730, -3.959, -5.009], [-1.021, -2.088, -6.831], [1.689, -2.032, -6.834], [2.478, -3.874, -5.006], [4.214, 3.334, 3.022], [4.058, 4.245, 4.031], [3.834, 5.468, 3.458], [3.857, 5.288, 2.047], [4.092, 3.962, 1.810], [4.397, 2.356, 3.150], [4.121, 3.947, 5.063], [3.675, 6.390, 3.993], [3.718, 6.046, 1.293], [4.184, 3.413, 0.889], [5.704, -6.782, -1.731], [4.408, -6.371, -1.859], [3.752, -6.692, -0.700], [4.693, -7.318, 0.162], [5.887, -7.357, -0.504], [6.415, -6.681, -2.431], [4.065, -5.890, -2.760], [2.711, -6.501, -0.489], [4.512, -7.697, 1.154], [6.848, -7.745, -0.211], [2.876, -6.994, 5.350], [3.826, -6.281, 6.028], [3.957, -5.063, 5.416], [3.048, -5.043, 4.323], [2.395, -6.248, 4.311], [2.580, -7.924, 5.582], [4.325, -6.698, 6.885], [4.627, -4.277, 5.718], [2.894, -4.234, 3.626], [1.634, -6.638, 3.655], [-4.930, 4.044, -4.286], [-5.439, 3.389, -5.377], [-4.928, 3.986, -6.497], [-4.076, 5.039, -6.067], [-4.097, 5.050, -4.699], [-5.138, 3.822, -3.332], [-6.118, 2.562, -5.262], [-5.142, 3.701, -7.513], [-3.514, 5.712, -6.692], [-3.595, 5.683, -3.988], [3.911, -3.007, -8.357], [3.244, -3.356, -9.500], [3.862, -2.735, -10.551], [4.947, -1.983, -10.022], [4.952, -2.172, -8.667], [3.670, -3.316, -7.435], [2.392, -4.013, -9.466], [3.571, -2.810, -11.585], [5.642, -1.374, -10.574], [5.602, -1.787, -7.900], [2.705, 8.864, 0.499], [3.839, 9.078, -0.238], [3.479, 9.138, -1.556], [2.070, 8.956, -1.618], [1.623, 8.790, -0.335], [2.672, 8.774, 1.497], [4.802, 9.170, 0.233], [4.148, 9.297, -2.385], [1.457, 8.950, -2.503], [0.633, 8.628, 0.055], [-11.385, 6.204, 1.832], [-11.611, 5.274, 2.809], [-11.108, 4.078, 2.372], [-10.554, 4.294, 1.079], [-10.741, 5.617, 0.777], [-11.655, 7.168, 1.880], [-12.109, 5.541, 3.725], [-11.136, 3.148, 2.916], [-10.079, 3.563, 0.450], [-10.473, 6.187, -0.096], [7.164, 9.313, 2.159], [7.793, 10.027, 1.175], [9.084, 10.240, 1.574], [9.242, 9.627, 2.847], [8.041, 9.062, 3.180], [6.207, 9.017, 2.138], [7.271, 10.322, 0.281], [9.834, 10.774, 1.016], [10.136, 9.604, 3.447], [7.737, 8.507, 4.050]], "lowdin_charge": [-0.101, -0.123, -0.135, -0.416, -0.123, -0.171, -0.233, -0.284, 0.347, -0.314, -0.322, 0.421, -0.021, 0.008, -0.104, -0.140, -0.355, -0.039, -0.149, -0.188, -0.095, -0.336, -0.058, -0.058, -0.190, -0.122, -0.169, -0.172, -0.212, -0.108, -0.070, -0.491, 0.003, 0.134, -0.128, -0.062, 0.079, 0.087, 0.073, 0.112, 0.121, 0.142, 0.136, 0.124, 0.105, 0.126, 0.103, 0.112, 0.097, 0.125, 0.144, 0.116, 0.154, 0.149, 0.102, 0.095, 0.104, 0.124, 0.081, 0.062, 0.082, 0.105, 0.114, 0.080, 0.122, 0.116, 0.087, 0.054, 0.061, 0.082, 0.077, 0.079, 0.136, 0.126, 0.085, 0.123, 0.109, 0.127, 0.088, 0.135, 0.097, 0.074, 0.094, 0.091, 0.091, 0.067, 0.088, 0.151, 0.148, -0.003, -0.142, -0.097, -0.109, -0.159, 0.137, 0.104, 0.096, 0.088, 0.099, 0.004, -0.143, -0.112, -0.103, -0.145, 0.141, 0.106, 0.088, 0.082, 0.090, 0.008, -0.150, -0.126, -0.108, -0.131, 0.147, 0.098, 0.075, 0.089, 0.111, 0.012, -0.128, -0.104, -0.121, -0.152, 0.148, 0.112, 0.092, 0.070, 0.100, -0.008, -0.146, -0.108, -0.109, -0.144, 0.093, 0.102, 0.092, 0.091, 0.103, -0.005, -0.143, -0.108, -0.111, -0.144, 0.116, 0.106, 0.091, 0.090, 0.102, -0.002, -0.143, -0.103, -0.108, -0.144, 0.138, 0.085, 0.093, 0.091, 0.103, -0.002, -0.145, -0.110, -0.110, -0.140, 0.142, 0.104, 0.087, 0.055, 0.104, -0.004, -0.146, -0.109, -0.110, -0.144, 0.121, 0.101, 0.091, 0.090, 0.103]}